Allen County ready for severe weather

Here the text breaks off for materials data:
<<<
Record 1
Calculated X-ray diffraction stick pattern
Compound: TaSb3O8
Radiation: Cu Kα (weighted mean of Kα1 and Kα2)
Structure: a structure optimized by DFT (PBE)

Largest 6 diffraction maxima, sorted by position, 2θ from 5° to 70°:
Position (°2θ)	I/Imax	h k l
25.13	45	1 1 2
28.31	100	1 -1 4
29.90	31	0 0 8
32.92	22	0 2 2
47.67	18	2 0 8
52.11	20	1 -1 12

Structure:
Unit cell a=4.957 b=5.593 c=23.908 alpha=90.12 beta=90.01 gamma=90.06
Space group P1 (No. 1)
Unique sites:
Ta 0.000 0.000 0.000 [1 per cell]
Ta 0.001 0.272 0.750 [1 per cell]
Ta 0.002 0.003 0.500 [1 per cell]
Ta 0.495 0.503 0.500 [1 per cell]
Sb 0.000 0.271 0.250 [1 per cell]
Sb 0.044 0.623 0.375 [1 per cell]
Sb 0.047 0.620 0.876 [1 per cell]
Sb 0.454 0.122 0.875 [1 per cell]
Sb 0.455 0.124 0.375 [1 per cell]
Sb 0.498 0.501 0.001 [1 per cell]
Sb 0.500 0.772 0.250 [1 per cell]
Sb 0.503 0.771 0.751 [1 per cell]
Sb 0.545 0.151 0.125 [1 per cell]
Sb 0.548 0.151 0.625 [1 per cell]
Sb 0.950 0.649 0.625 [1 per cell]
Sb 0.958 0.655 0.125 [1 per cell]
O 0.162 0.296 0.329 [1 per cell]
O 0.165 0.296 0.829 [1 per cell]
O 0.166 0.958 0.924 [1 per cell]
O 0.168 0.957 0.423 [1 per cell]
O 0.218 0.001 0.221 [1 per cell]
O 0.224 0.717 0.528 [1 per cell]
O 0.224 0.725 0.030 [1 per cell]
O 0.228 0.010 0.726 [1 per cell]
O 0.272 0.510 0.724 [1 per cell]
O 0.274 0.217 0.528 [1 per cell]
O 0.281 0.222 0.028 [1 per cell]
O 0.281 0.501 0.221 [1 per cell]
O 0.330 0.456 0.423 [1 per cell]
O 0.337 0.796 0.329 [1 per cell]
O 0.337 0.796 0.830 [1 per cell]
O 0.338 0.456 0.924 [1 per cell]
O 0.661 0.815 0.673 [1 per cell]
O 0.662 0.817 0.173 [1 per cell]
O 0.667 0.477 0.080 [1 per cell]
O 0.668 0.472 0.578 [1 per cell]
O 0.711 0.054 0.280 [1 per cell]
O 0.718 0.052 0.778 [1 per cell]
O 0.732 0.760 0.974 [1 per cell]
O 0.741 0.743 0.475 [1 per cell]
O 0.757 0.242 0.475 [1 per cell]
O 0.771 0.260 0.976 [1 per cell]
O 0.780 0.549 0.780 [1 per cell]
O 0.788 0.554 0.280 [1 per cell]
O 0.831 0.972 0.579 [1 per cell]
O 0.834 0.977 0.079 [1 per cell]
O 0.836 0.313 0.674 [1 per cell]
O 0.839 0.317 0.173 [1 per cell]

***

Record 2
Calculated X-ray diffraction stick pattern
Compound: K2SnTe3
Radiation: Cu Kα (weighted mean of Kα1 and Kα2)
Structure: a structure optimized by DFT (PBE)

Largest 6 diffraction maxima, sorted by position, 2θ from 5° to 70°:
Position (°2θ)	I/Imax	h k l
14.74	73	1 1 1
25.33	100	3 1 2
28.71	74	0 2 2
30.60	84	6 0 2
30.68	77	6 2 0
43.88	78	1 3 3

Structure:
Unit cell a=23.399 b=8.770 c=8.818 alpha=90.00 beta=90.00 gamma=90.00
Space group Cmce (No. 64)
Unique sites:
K 0.078 0.000 0.000 [8 per cell]
K 0.235 0.000 0.000 [8 per cell]
Sn 0.084 0.000 0.500 [8 per cell]
Te 0.000 0.168 0.332 [8 per cell]
Te 0.149 0.186 0.686 [16 per cell]

***

Record 3
Calculated X-ray diffraction stick pattern
Compound: MnNi4Os
Radiation: Cu Kα (weighted mean of Kα1 and Kα2)
Structure: a structure optimized by DFT (PBE)

Largest 6 diffraction maxima, sorted by position, 2θ from 5° to 70°:
Position (°2θ)	I/Imax	h k l
>>>



What comes next are materials data, not part of the piece =
'''
Diffraction record for CaSiO3. The powder diffractogram is simulated, not measured: it uses DFT lattice parameters and positions (PBE) and Cu Kα (λ = 1.5418 Å).
Peak positions follow from Bragg's law for the DFT cell and can differ from measured ones.

The 10 most intense peaks (2θ = 10–90°), low angle first:
- hkl 0 0 2, 22.90°, intensity 16
- hkl 2 0 0, 25.03°, intensity 22
- hkl 2 0 -1, 26.50°, intensity 27
- hkl 2 0 1, 28.61°, intensity 24
- hkl 0 2 -2, 29.70°, intensity 100
- hkl 2 2 0, 35.90°, intensity 18
- hkl 3 0 -1, 38.57°, intensity 13
- hkl 1 2 2, 40.99°, intensity 12
- hkl 0 4 -1, 49.31°, intensity 20
- hkl -3 2 2, 52.37°, intensity 14

Crystal structure
Unit cell a=7.151 b=7.393 c=8.025 alpha=103.45 beta=95.52 gamma=90.08
Atoms (fractional coordinates):
Ca: 0.030 0.251 0.004
Ca: 0.260 0.924 0.698
Ca: 0.263 0.430 0.705
Ca: 0.737 0.570 0.295
Ca: 0.740 0.076 0.302
Ca: 0.970 0.749 0.996
Si: 0.229 0.113 0.315
Si: 0.230 0.546 0.316
Si: 0.442 0.777 0.105
Si: 0.558 0.223 0.895
Si: 0.770 0.454 0.684
Si: 0.771 0.887 0.685
O: 0.034 0.036 0.196
O: 0.034 0.564 0.199
O: 0.233 0.128 0.518
O: 0.237 0.632 0.520
O: 0.271 0.320 0.279
O: 0.298 0.731 0.931
O: 0.331 0.226 0.899
O: 0.406 0.629 0.231
O: 0.407 0.988 0.230
O: 0.593 0.012 0.770
O: 0.594 0.371 0.769
O: 0.669 0.774 0.101
O: 0.702 0.269 0.069
O: 0.729 0.680 0.721
O: 0.763 0.368 0.480
O: 0.767 0.872 0.482
O: 0.966 0.436 0.801
O: 0.966 0.964 0.804

* * * * *
'''

May 21, 2013 - 12:00 AM

Misplaced crystal structures
____________
[1]
This entry pairs a crystal structure of Fe3O5F with its calculated powder XRD pattern. Radiation: CuKα. Structure: a crystal structure in the Materials Project, relaxed with PBE+U.
Intensities are scaled so that the largest is 100.

Principal peaks in the range 10° ≤ 2θ ≤ 80°, in order of falling intensity:
- d 3.360, 2θ 26.53, intensity 100, (1 1 1)
- d 3.206, 2θ 27.83, intensity 95, (-1 1 1)
- d 2.538, 2θ 35.37, intensity 53, (1 1 -2)
- d 2.518, 2θ 35.66, intensity 51, (1 -1 2)
- d 1.741, 2θ 52.57, intensity 30, (2 2 -1)
- d 1.722, 2θ 53.20, intensity 29, (2 0 3)
- d 1.687, 2θ 54.37, intensity 28, (1 -3 0)
- d 2.319, 2θ 38.83, intensity 20, (0 2 2)
- d 1.371, 2θ 68.43, intensity 20, (0 2 5)
- d 1.680, 2θ 54.63, intensity 16, (2 2 2)

Structural model:
```
18
Lattice="4.645 0.000 0.000 0.252 5.548 0.000 0.152 0.585 7.559" Properties=species:S:1:pos:R:3 pbc="T T T"
Fe 0.000 0.000 0.000
Fe 0.244 2.309 5.045
Fe 2.533 4.941 4.977
Fe 2.449 2.774 0.000
Fe 2.516 1.191 2.583
Fe 4.805 3.823 2.514
O 1.062 2.131 6.776
O 1.126 3.835 4.199
O 1.748 4.946 6.776
O 1.540 1.042 4.277
O 1.586 2.695 1.747
O 3.463 3.438 5.812
O 3.509 5.090 3.282
O 3.301 1.186 0.784
O 3.923 2.298 3.360
O 3.987 4.001 0.783
F 1.222 5.493 1.782
F 3.827 0.639 5.777
```

---

[2]
This entry pairs a crystal structure of Fe5O3F7 with its calculated powder XRD pattern. Radiation: CuKα. Structure: a crystal structure in the Materials Project, relaxed with PBE+U.
Intensities are scaled so that the largest is 100.

Principal peaks in the range 10° ≤ 2θ ≤ 80°, in order of falling intensity:
- d 2.622, 2θ 34.20, intensity 100, (0 5 1)
- d 3.454, 2θ 25.79, intensity 99, (1 0 -1)
- d 3.365, 2θ 26.49, intensity 92, (1 0 1)
- d 1.787, 2θ 51.11, intensity 62, (1 5 -2)
- d 1.762, 2θ 51.89, intensity 53, (1 5 2)
- d 1.429, 2θ 65.30, intensity 40, (0 5 3)
- d 1.727, 2θ 53.03, intensity 18, (2 0 -2)
- d 2.290, 2θ 39.35, intensity 18, (1 5 1)
- d 2.317, 2θ 38.86, intensity 17, (1 5 -1)
- d 1.562, 2θ 59.13, intensity 17, (0 10 0)

Structural model:
```
30
Lattice="4.822 0.000 0.000 0.000 15.625 0.000 -0.126 0.000 4.821" Properties=species:S:1:pos:R:3 pbc="T T T"
Fe 0.000 0.000 0.000
Fe 0.092 3.116 0.135
Fe 0.092 12.509 0.135
Fe 0.233 6.169 0.074
Fe 0.233 9.456 0.074
Fe 2.263 4.800 2.429
Fe 2.263 10.825 2.429
Fe 2.352 7.812 2.663
Fe 2.555 1.586 2.620
Fe 2.555 14.038 2.620
O 0.995 4.547 1.031
O 0.995 11.078 1.031
O 1.547 6.254 3.404
O 1.547 9.371 3.404
O 3.971 1.597 4.088
O 3.971 14.028 4.088
F 1.056 1.526 1.092
F 1.056 14.099 1.092
F 1.109 7.812 1.094
F 1.459 3.183 3.480
F 1.459 12.442 3.480
F 1.484 0.000 3.552
F 3.401 6.279 1.578
F 3.401 9.346 1.578
F 3.417 3.206 1.567
F 3.417 12.419 1.567
F 3.513 0.000 1.578
F 3.800 4.562 3.894
F 3.800 11.063 3.894
F 3.911 7.812 3.991
```

---

[3]
This entry pairs a crystal structure of Fe10O11F9 with its calculated powder XRD pattern. Radiation: CuKα. Structure: a crystal structure in the Materials Project, relaxed with PBE+U.
____________
The crystal structures stop here

Allen County had this year’s first brush with severe spring weather Sunday, and came away in fine fettle.
“It got pretty hectic for a while,” said Pam Beasley, emergency manager for the county, who had a full complement of volunteers aiding her in tracking weather conditions from the Emergency Operations Center (EOC), 410 N. State St. “We also had six spotters and county officers spread throughout the county keeping watch.”
The National Weather Service issued a tornado warning — meaning a twister had been spotted, by watcher or radar — at 8:34 that evening. The warning was canceled 34 minutes later.
“None of the spotters saw a tornado and the weather bureau issued the warning on the basis of rotation detected by radar in clouds over Allen County,” Beasley said.
Rain fell in sporadically heavy amounts and wind gusts were enough to rip limbs from a few trees, but “basically we were pretty lucky,” Beasley said.
Storm sirens continued to sound, with brief interruptions, until the warning was canceled. Iola police officers also sound sirens when severe weather accompanied by winds in excess of 70 miles an hour is imminent.
Sunday’s activation was the first for Beasley and her volunteers this year. She said more are likely, with this being the time of year when areas of low pressure, cool fronts and warm, moist air from the Gulf of Mexico clash over the Plains states.
The current system had moved on to the east and south today; another is expected in the nation’s midsection by the weekend.
“Anytime there is a chance for severe weather, I have at least a partial activation (of the response group),” Beasley said, which includes members of the Iola Amateur Radio Club, who are dispatched as spotters, other volunteers and law enforcement officers at all levels.
At the EOC, several sources of information are monitored continuously — dispatches from the National Weather Service, images from several Internet weather sources, information provided by spotters and social media, mainly through Facebook.
“I also correspond with other emergency managers in southeast and eastern Kansas through a chat program,” Beasley said.
When taken in total, data available gives Beasley and her aides a concise picture of what is occurring, and is the basis for Code Red calls made to those who have registered.
“Code Red gives an opportunity to reach people immediately by telephone,” including cell service, she said.
Sunday night, for example, Code Red alerts from the National Weather Service were forwarded to local residents, as well as a call which alerted subscribers that storm shelters in Iola — Lincoln and McKinley elementaries and the Bowlus Fine Arts Center — had been opened. All drew crowds, including an estimated 200 at the Bowlus.
To register for Code Red alerts, call Beasley at 365-1477, the sheriff’s office at 365-1400, or go to Allen County’s or Iola’s websites — or — and click on the Code Red weather warning icon.

ALL OF WHAT Beasley’s team does goes for naught if people don’t keep themselves aware, she noted.
Iola’s sirens are a sure sign that troubling weather is near, but “they are outdoor sirens and some people indoors may not hear them,” she said. “Having a weather radio is a good idea, and listening to the Iola radio station (KIKS-KIOL) also helps. The Iola station did a good job Sunday keeping listeners aware of what was going on.”
When severe weather is bearing down, it’s a little late to dash off to a shelter, Beasley said. If a person or family feels unsafe at home, go to a shelter early on, when the first warnings of severe weather are circulating, she said.
“We want people to be prepared and if possible at a place of safety when a storm arrives,” she said.
If that place is at home, a basement is the logical and safest place to be, Beasley continued. In homes without a basement, Beasley said occupants should seek refuge in a central part, in a closet or bathroom and cover themselves with a blanket.
In a bit of advice that may elicit a chuckle, Beasley said an important thing to have handy is a pair of shoes.
“Be sure to have shoes where you’re going to ride out a storm,” she said. “That way if your home is damaged, you won’t hurt your feet on debris. You’d be surprised how many foot injuries happen after storms because people are walking around barefoot.”
